In Photoshop, scaling a percentage is achieved by dragging the bottom of the percentage slider to the desired percentage.

The use of the “in” keyword in Photoshop allows for the selection of a range of colors within a document. This is helpful when, for example, a designer needs to select specific colors for a logo or graphic.

In Photoshop, you can use the Background Blur tool to blur the background of a photo. This can be helpful if you want to hide the background or if the background is distracting.

In Photoshop, “Tool” is an interface that allows users to perform common tasks on images. Tools include tools for manipulating images (such as cropping, resizing, and rotating), tools for creating new images (such as the paintbrush tool), and tools for editing images (such as the healing brush tool).

One way to blend in with the surrounding environment while editing photos or graphics in Adobe Photoshop is to use a technique called “color blending.” This involves selecting part of one image and then using the color picker to copy the color of the surrounding area. You can then use the Eyedropper tool to sample colors from the new layer and paste them into the existing layer.

To rescale an image in Photoshop, you first need to select the image you want to rescale and then use the scaling tools located in the Image menu. The options available for rescaling an image depend on the type of scaling you want to perform: horizontal, vertical, or both.Horizontal scaling simply magnifies or reduces the width or height of an image, while vertical scaling changes the perspective of an image by stretching or shrinking its height or width.

Zooming in on a photograph in Photoshop is accomplished by adjusting the magnification. There are two main ways to do this: using the zoom tool and using the magnifying glass. The zoom tool can be accessed by pressing and holding the left mouse button and dragging it around the image. When the cursor changes to a double-headed arrow, release the left mouse button to zoom in.

In Photoshop, you can blur the background and focus in several ways. One way is to use the Gaussian Blur filter. This filters the image, blurring the background while keeping the focus sharp. Another way is to use the Radial Blur filter. This filters the image, creating a blurry outer border around the focused area.

In Photoshop, a filter is a piece of software that receives input from the user and produces a modified output. Filters can be used to change the color, brightness, or opacity of an image.

(Inserted here: records of crystals)
........
[1]
Below is Zr2TiSO after structural relaxation, with properties calculated at the GGA-PBEsol level.

a b c (Å): 4.4557 4.4557 3.8082
angles (deg): 90.00 90.00 90.00
Space group P4/mmm (No. 123)
Unique sites:
Zr  0.0000  0.5000  0.0000 [2 per cell]
Ti  0.0000  0.0000  0.5000 [1 per cell]
S  0.5000  0.5000  0.5000 [1 per cell]
O  0.0000  0.0000  0.0000 [1 per cell]

Results
Energy relative to the elements, uncorrected, eV/atom: -1.216
Final energy, eV for the cell shown: -42.22

***

[2]
Below is Tm2S2O after structural relaxation, with properties calculated at the GGA-PBEsol level.

a b c (Å): 8.0528 6.7247 6.6996
angles (deg): 90.00 99.83 90.00
Space group P2_1/c (No. 14)
Unique sites:
Tm  0.0747  0.1460  0.3232 [4 per cell]
Tm  0.3623  0.5535  0.2509 [4 per cell]
S  0.1827  0.6305  0.5784 [4 per cell]
S  0.4238  0.2216  0.4698 [4 per cell]
O  0.1164  0.0869  0.6501 [4 per cell]

Results
Energy relative to the elements, uncorrected, eV/atom: -2.712
Final energy, eV for the cell shown: -149.49

***

[3]
Below is USO6 after structural relaxation, with properties calculated at the GGA-PBEsol level.

a b c (Å): 6.7331 5.8587 12.8344
angles (deg): 90.00 103.22 90.00
Space group P2_1/c (No. 14)
Unique sites:
U  0.1779  0.2478  0.3382 [4 per cell]
S  0.2851  0.5408  0.1050 [4 per cell]
O  0.0889  0.5226  0.7694 [4 per cell]
O  0.1158  0.7069  0.0965 [4 per cell]
O  0.2541  0.5124  0.4037 [4 per cell]
O  0.2633  0.1456  0.6794 [4 per cell]
O  0.2804  0.0570  0.4987 [4 per cell]
O  0.4804  0.6591  0.1450 [4 per cell]

Results
Energy relative to the elements, uncorrected, eV/atom: -2.207
Final energy, eV for the cell shown: -262.78

~~~~~

Entry 1:
CaPrMgAl | the Alexandria database | PBE | optimized geometry; space group = F-43m, No. 216; formation energy from the elements = -215 meV per atom; VASP energy = -13.0 eV for the cell shown
1.0
0.0000 3.8178 3.8178
3.8178 0.0000 3.8178
3.8178 3.8178 0.0000
Ca Pr Mg Al
1 1 1 1
Direct
0.0000 0.0000 0.0000
0.5000 0.5000 0.5000
0.7500 0.7500 0.7500
0.2500 0.2500 0.2500

=====

Entry 2:
CaMg2AlPt | the Alexandria database | PBE | optimized geometry; space group = P4/mmm, No. 123; formation energy from the elements = -415 meV per atom; VASP energy = -17.0 eV for the cell shown
1.0
5.0546 0.0000 0.0000
0.0000 5.0546 0.0000
0.0000 0.0000 4.8228
Ca Mg Al Pt
1 2 1 1
Direct
0.0000 0.0000 0.0000
0.0000 0.5000 0.5000
0.5000 0.0000 0.5000
0.5000 0.5000 0.0000
0.5000 0.5000 0.5000

=====

Entry 3:
CaMgAl2Pt2 | the Alexandria database | PBE | optimized geometry; space group = P-3m1, No. 164; formation energy from the elements = -899 meV per atom; VASP energy = -28.6 eV for the cell shown
1.0
4.4067 0.0000 0.0000
-2.2033 3.8163 0.0000
0.0000 0.0000 6.8440
Ca Mg Al Pt
1 1 2 2
Direct
0.0000 0.0000 0.0000
0.0000 0.0000 0.5000
0.3333 0.6667 0.6893
0.6667 0.3333 0.3107
0.3333 0.6667 0.2987
0.6667 0.3333 0.7013

=====

Entry 4:
........

Some people say that Photoshop is hard to use because it requires a lot of knowledge and skills. Others say that it is easy to learn and use, but you need to have some experience with photo editing programs first. There are also many different features available in Photoshop, so some people find it difficult to find what they are looking for.